You know your kidney is one of the most important organs in your body, and you need to take care of it. It needs to be healthy because disease in the kidney is not a matter to ignore. Studies reveal that in abroad there are millions of adults who are suffering from this chronic kidney disease which is called CKD. It is mostly linked to other diseases like diabetes or high blood pressure or some cardiac problems. You are also likely to suffer from it if you are in the age above 60. If you are obese, or you have some infection in the urinary tract even then, you can get such disease. So here we will see how to increase kidney function:
Have a lot of fluids.
**Misplaced data records**
<<<
C53H46N6O2PSSc | wB97M-V/def2-TZVPD

Its max |F| is 0.07614 Eh/bohr. Its frontier orbital gap is 7.251 eV. The total charge is +2.

Last column: Mulliken charge in e.
Positions of all 110 atoms, in Å:
Sc 11.7565 13.5915 11.7905  -1.846
C 12.9633 11.4872 7.8993  -1.842
C 12.5924 12.5410 8.9384  0.127
N 12.8178 12.3902 10.1821  2.598
N 13.5247 11.2898 10.5803  -1.290
C 13.7068 11.3253 11.8854  0.084
O 13.2242 12.2373 12.7171  0.898
C 14.4445 10.2019 12.5037  -0.040
C 15.0160 9.1187 11.8276  -0.367
C 15.5920 8.0298 12.4794  -0.839
C 15.6908 8.0672 13.8674  -0.734
C 15.1067 9.1304 14.5690  -1.043
C 14.5472 10.1996 13.9170  0.518
C 11.9770 13.8174 8.5628  0.902
C 11.9821 14.2416 7.2282  -1.145
C 11.3986 15.4966 6.9243  -0.841
C 10.7892 16.2242 7.8969  -1.168
C 10.7672 15.6960 9.1984  -0.536
N 11.3843 14.5707 9.5306  1.310
H 13.7388 11.8801 7.2629  0.382
H 13.2709 10.4899 8.3414  0.342
H 12.1121 11.2389 7.2209  0.372
H 14.9908 9.1211 10.7507  0.455
H 15.8945 7.2593 11.8118  0.459
H 16.2907 7.2948 14.3138  0.435
H 15.2479 9.1649 15.5935  0.732
H 14.2968 11.0420 14.5789  -0.282
H 12.2572 13.6888 6.3490  0.556
H 11.3225 15.7701 5.8982  0.540
H 10.3149 17.1577 7.6320  0.542
H 10.3387 16.2545 10.0097  0.587
N 10.1764 15.3778 12.3981  0.632
C 10.4243 16.8071 12.3843  -1.443
C 9.3522 17.7454 12.4322  -0.405
C 9.6491 19.1321 12.3351  -0.857
C 10.9652 19.4887 12.2734  -0.825
C 12.0044 18.5936 12.3469  -0.605
C 11.7195 17.2149 12.2734  0.727
P 12.9961 15.9884 12.6652  2.727
C 14.0441 16.6116 13.9283  0.533
C 13.5624 17.0859 15.1740  -0.750
C 14.4036 17.5167 16.1738  -0.634
C 15.7935 17.5941 15.9773  -0.655
C 16.2682 17.1787 14.7598  -0.803
C 15.4405 16.7317 13.7373  -0.780
C 14.0691 15.7603 11.1432  0.099
C 13.9232 16.4076 9.9401  -0.713
C 14.5743 15.9583 8.8351  -0.343
C 15.3298 14.7653 8.8473  -0.797
C 15.4900 14.1071 10.0734  -0.586
C 14.8756 14.6016 11.2317  0.407
H 10.2270 15.0614 13.3407  0.212
H 9.2159 15.2209 12.2517  0.303
H 8.3553 17.3685 12.6208  0.466
H 8.8830 19.8395 12.3371  0.535
H 11.2673 20.5142 12.3388  0.491
H 13.0776 18.8870 12.4837  0.442
H 12.5660 16.8368 15.4116  0.481
H 13.9791 17.8137 17.1217  0.445
H 16.4035 17.9432 16.8058  0.462
H 17.2939 17.3010 14.5761  0.523
H 15.8736 16.4423 12.8058  0.466
H 13.2045 17.2987 9.9660  0.323
H 14.5074 16.6063 7.9198  0.418
H 15.9177 14.4542 7.8796  0.337
H 16.1049 13.1858 10.2223  0.391
H 15.0642 14.0013 12.2005  -0.098
N 10.9836 12.8844 13.8703  0.927
C 9.5951 12.6221 13.8647  -0.149
C 8.7756 12.7191 14.9313  -0.566
C 7.4644 12.4361 14.8570  -0.962
C 6.8272 12.0986 13.6738  -0.792
C 7.6097 12.0408 12.5372  0.627
C 7.1131 11.7576 11.2579  -0.607
C 7.9632 11.6763 10.1777  -1.306
C 9.3367 11.9409 10.3507  0.355
N 9.8356 12.1981 11.4946  0.352
C 9.0141 12.2134 12.6526  0.276
H 11.5297 12.0029 13.8488  0.017
H 11.3084 13.4632 14.6472  0.204
H 9.3021 13.0642 15.8282  0.564
H 6.8092 12.5134 15.6875  0.424
>>>
You need to be hydrated in order to prevent any kind of disease in kidney and also to fight them. The more water you drink, the more dilute will be the urine, and so it is better for the health of the kidney. Well, just not water but also, there are many other fruits and their juices which give us a lot of water. You can go for ginger ale. Even beverages like tea have some water content in them. Check the color of the urine. If you see that it is light colored, you can be happy that you are well hydrated. But if not you need to take more water. Limit the intake of caffeine to just a cup or two per day as it really makes us dehydrated by increasing the frequency of dehydration.
Low potassium foods.
**Between two parts of the entry: molecular data**
┌──
73
Properties=species:S:1:pos:R:3:forces:R:3:lowdin_charge:R:1 method="wB97M-V/def2-TZVPD" s_squared=0.75 total_charge=+1 homo_energy_ev="-6.190 / -10.623" fmax_ha_per_bohr=0.2001 spin_multiplicity=2 e_above_lowest_ev=1.825 homo_lumo_gap_ev="4.730 / 9.136"
Be 2.745 -18.201 13.473 0.239 0.145 -0.024 0.87
C 5.493 -20.686 13.648 -2.348 2.329 -2.083 -0.78
O 4.603 -19.979 13.209 -0.810 0.060 0.102 0.00
N 5.417 -21.510 14.648 -1.757 -2.110 3.492 0.18
N 6.652 -20.771 13.085 4.401 -0.379 -1.821 0.17
H 4.512 -21.455 15.092 0.452 -0.367 0.501 0.08
H 6.246 -21.843 15.119 -0.538 0.103 0.134 0.12
H 6.925 -20.191 12.305 -0.128 -0.457 0.296 0.11
H 7.103 -21.639 13.338 0.807 0.498 -0.881 0.11
C 5.089 -16.950 16.144 -1.639 -0.046 0.629 -0.79
O 4.116 -16.934 15.457 -2.437 -0.767 -2.128 0.01
N 5.596 -15.830 16.525 2.959 4.875 1.489 0.17
N 5.624 -17.977 16.770 0.944 -3.262 0.287 0.19
H 5.241 -14.954 16.169 -0.051 -0.348 0.214 0.12
H 6.462 -15.822 17.044 -0.137 0.315 -0.221 0.11
H 6.024 -17.881 17.692 -0.057 -0.261 -0.441 0.12
H 5.295 -18.853 16.391 0.017 -0.267 0.501 0.09
C -0.604 -19.903 14.149 2.503 0.477 -2.565 -0.85
O 0.536 -19.663 13.890 3.093 -0.571 -0.521 0.03
N -1.348 -20.756 13.521 -2.154 -3.669 -2.207 0.19
N -1.270 -19.198 14.957 -4.074 3.990 5.533 0.18
H -1.072 -21.026 12.588 -0.206 -0.514 0.477 0.13
H -2.202 -21.025 13.989 0.014 -0.317 -0.936 0.11
H -2.278 -19.233 14.898 0.223 0.164 0.077 0.12
H -0.892 -18.299 15.220 0.590 -0.278 -0.316 0.07
C -0.672 -17.449 11.820 0.460 0.877 4.909 -0.85
O 0.411 -17.485 12.301 3.004 0.478 0.792 0.05
N -1.741 -17.130 12.488 -4.122 1.695 3.286 0.19
N -0.946 -17.751 10.643 -0.116 -3.319 -9.737 0.18
H -2.658 -17.124 12.064 0.283 0.123 0.111 0.11
H -1.668 -16.682 13.390 0.228 -0.155 -0.230 0.12
H -1.822 -18.003 10.208 -0.268 0.482 0.737 0.13
H -0.230 -18.335 10.234 0.101 -0.069 -0.076 0.12
C 6.251 -16.860 12.745 -4.470 -1.777 0.342 -0.76
O 5.239 -17.397 13.114 -1.078 -1.791 0.508 0.01
N 7.050 -17.424 11.859 3.183 -0.399 -2.318 0.18
N 6.402 -15.620 13.085 2.999 4.143 0.265 0.19
H 7.746 -16.816 11.450 0.138 -0.265 -0.107 0.10
H 6.711 -18.116 11.206 -0.337 0.050 0.597 0.11
H 5.908 -15.211 13.865 0.139 -0.571 -0.223 0.10
H 7.283 -15.227 12.785 -0.168 0.749 0.521 0.11
C 2.792 -14.924 12.029 -0.972 0.057 0.391 -0.83
O 2.721 -15.727 12.883 -0.405 -3.642 3.354 0.06
N 1.979 -14.785 11.033 -2.961 -0.063 -3.853 0.19
N 3.624 -13.951 12.108 4.656 3.906 0.770 0.18
H 2.302 -14.213 10.266 -0.868 -0.150 0.052 0.11
H 1.036 -15.138 11.122 0.419 -0.185 -0.428 0.12
H 3.667 -13.167 11.472 -0.008 -0.186 0.446 0.12
H 4.183 -13.977 12.948 0.173 0.323 -0.535 0.11
C 2.932 -17.747 9.766 -0.751 0.585 1.711 -0.84
O 2.815 -18.367 10.757 -0.367 -3.384 3.781 0.06
N 4.068 -17.310 9.340 4.117 1.317 -2.356 0.19
N 1.911 -17.230 9.152 -3.176 1.144 -3.132 0.17
H 4.891 -17.434 9.913 -0.244 0.081 -0.459 0.11
H 4.018 -16.769 8.489 1.116 0.012 0.372 0.11
H 0.992 -17.280 9.569 0.497 0.284 -0.366 0.07
H 2.128 -16.657 8.350 -0.989 0.035 0.208 0.11
└──
The kidneys play an important role in regulating the level of potassium. We need to monitor our intake of potassium. If you have consumed too much of it inside then, you stand a chance of having a stroke or you may come across a heart attack. There are some foods like apple, corn, pasta, noodles, beans, eggplant, peppers, pears and peas which are low in potassium and can be consumed. You can have cookies too. Add some nuts or hot chocolate to make it even more yummy!
Foods rich in iron.
The more iron intake in your body, the less are the chances that you run into chronic kidney disease. The kidney helps in the production of the red blood cells, and it needs iron for it. You will find a lot of iron in the green leafy vegetables. Having them will help your RBC level to increase. You can also have an egg to increase the iron content in your body.
Now we will discuss in details, the fruits and vegetables that can be taken to increase the kidney function.
Red Bell Peppers- delicious
They have a low content of potassium but is rich in flavor. That is what it makes a perfect kidney diet. They are extremely tasty, and you are also going to find Vit A and Vit C in it. Just not that, the most important Vit B6 along with the folic acid present with it adds to its rating.
Now you have the raw one with dip, which can be served as a snack. You can also mix it with chicken salad. If needed, you can use peppers by roasting them and apply it on the top of the sandwich or the salad. You may also choose to chop them and make an omelet.
Cabbage- a leafy treat
It is a full package of phytochemicals and many other chemical compounds which help in the breakage of the free radicals before they can actually do damage to our kidney. These phytochemicals also help you in improving your cardiovascular health and it also protects you from cancer.
The page is interrupted by molecular data:
~~~
No. 1
A cluster of 2 separate species, C4H12 in total. Source: the OMol25 dataset; level of theory: the ωB97M-V functional and the def2-TZVPD basis.

ORCA input file:
```
! wB97M-V def2-TZVPD RIJCOSX def2/J DEFGRID3
* xyz 0 1
H -1.289 0.296 2.614
H 0.261 0.203 3.511
H 1.139 0.088 -3.121
H -0.723 -1.821 1.708
C 0.167 -1.207 1.874
H 0.579 1.727 -2.987
H -1.161 1.058 -1.328
H 0.785 -1.873 2.474
C 0.723 0.803 -2.414
H -1.261 0.140 -2.828
H 1.428 0.984 -1.603
C -0.646 0.313 -1.946
H 0.212 0.956 2.006
H 0.606 -1.165 0.871
C -0.227 0.104 2.537
H -0.594 -0.608 -1.368
*
```

Properties
Relative energy (zero: lowest compared OMol25 entry of this formula, charge and spin), kcal/mol: 5.5
SMILES string: CC.CC
LUMO energy, eV: 1.15
Gap between HOMO and LUMO, eV: 12.83


No. 2
A structure of composition C6H6IrN4S3Sb. Source: the OMol25 dataset; level of theory: the ωB97M-V functional and the def2-TZVPD basis.

ORCA input file:
```
! wB97M-V def2-TZVPD RIJCOSX def2/J DEFGRID3
* xyz 1 2
H 4.101 -1.208 1.623
C 3.170 -0.763 1.323
Ir -0.687 1.386 1.153
C -1.123 -0.419 -2.563
N 2.533 -1.135 0.162
N 1.303 0.421 1.099
C 1.410 -0.409 0.063
S -2.377 2.838 0.983
N 0.092 -0.892 -2.113
S -4.779 0.120 0.239
Sb -4.088 1.493 2.073
C -1.600 0.413 -1.599
S -2.048 0.241 2.486
H -1.530 -0.707 -3.515
H 2.851 -1.854 -0.467
H -2.511 0.992 -1.556
C 2.393 0.196 1.895
H 2.554 0.743 2.807
N -0.683 0.428 -0.575
C 0.325 -0.363 -0.902
H 0.694 -1.523 -2.616
*
```

Properties
Relative energy (zero: lowest compared OMol25 entry of this formula, charge and spin), kcal/mol: 40.4
LUMO energy (alpha / beta), eV: -4.41 / -5.20
Gap between HOMO and LUMO (alpha / beta), eV: 6.78 / 5.93


No. 3
A cluster of 2 separate species, BrH2NO2P in total. Source: the OMol25 dataset; level of theory: the ωB97M-V functional and the def2-TZVPD basis.

ORCA input file:
```
! wB97M-V def2-TZVPD RIJCOSX def2/J DEFGRID3
* xyz -1 1
H -1.739 0.410 -0.445
O 1.186 1.059 -1.365
H -1.457 -0.309 0.847
N -1.512 -0.496 -0.099
O 0.973 0.822 1.247
Br 1.714 -1.778 -0.075
P 0.834 0.292 -0.110
*
```

Properties
Relative energy (zero: lowest compared OMol25 entry of this formula, charge and spin), kcal/mol: 52.0
LUMO energy, eV: 3.45
Gap between HOMO and LUMO, eV: 8.19


No. 4
A cluster of 7 separate species, C39H70BrCl2FN8O4P in total. Source: the OMol25 dataset; level of theory: the ωB97M-V functional and the def2-TZVPD basis.

ORCA input file:
```
! wB97M-V def2-TZVPD RIJCOSX def2/J DEFGRID3
* xyz -1 1
H 3.531 -8.839 -1.423
H 1.245 4.503 1.382
H -0.846 -10.385 -1.789
H -3.013 -1.271 -1.753
H -3.330 2.748 3.036
H -0.278 -0.731 2.799
C -5.165 10.476 4.938
H -1.122 4.198 0.153
F 1.694 0.912 -1.245
H 6.756 -2.399 -1.073
C 4.682 3.929 2.480
N 8.507 1.435 -1.364
H 5.384 4.109 -0.784
H 0.937 2.862 1.950
O -6.054 0.117 -1.255
H -1.150 2.292 2.470
H -8.874 5.076 2.066
H 6.224 -1.806 -3.455
C 0.882 -0.879 1.015
H 1.681 -1.505 0.641
H 8.557 -1.383 -2.707
C -3.067 3.149 2.061
C -2.782 8.845 4.134
H 0.595 -2.416 -3.276
O -1.790 -0.864 0.803
~~~
Now you can add raw cabbage in fish tacos or in coleslaw. Adding butter to it only after boiling it and heating it with little olive oil in microwave adds taste to it.
Cherries- looks so good
Small and tasty is what can perfectly describe this fruit. It helps in reducing redness, and you can also have it if some parts of your body have swelled up. It has got Vit C and K in it. Magnesium, Vit B6, Citrate, and folate are some other things present in this little fruit. Go looking for a tart cherry as it has got more of citrate in it. It helps in reducing uric acid in our blood, and it can eventually be leading to gout. Ones who have cherries don’t run the risk of having gout attacks too.
Cranberries- a tangy solution
They have also got a lot of Vit C in it along with manganese.If you are having UTI, then you may have it to help yourself out of it. If you have diluted juice of cranberry, i.e., by adding just a little water to the pure juice, you will have low levels of oxalate as well phosphate and that will help in preventing kidney stones.
Cinnamon- a healthy stick
Known well for helping in the regulation of the glucose levels. It will help you to get rid of too much blood sugar level. Excess glucose is not good for health. They can damage the kidney. It is also used by many as a supplement.
Kidney Beans- good for kidney
The name tells it all. Doesn’t it? It is named so due to the greatest capability to benefit the organ and healing it from any other problem. If you want to get rid of the kidney stones in the home itself, you need to go for this fruit. The pods of this have medicinal value too. It pains a lot when you have a kidney stone. To bear it, you can just take away the pod and boil the beans inside in water for some time. Filter out the water and let it cool. Have it daily in order to be away from the pain.
Olive Oil- but not so oily
You get a lot of nutrients including unsaturated fat in this olive oil. If you are attacked by the chronic kidney disease, then you can start having this oil to maintain a healthy position.
Java Tea- go drink!!
Not just remedy to kidney problems but also liver and gastrointestinal problems can be now put in check. It stabilizes blood sugar, pressure and has antioxidants to keep us healthy!
So, at the end we must say, that have a balanced diet, 3-4 liters of water and some exercise daily. This will not only help you in keeping your kidney healthy, but your body and mind will also become healthy.